
Castlegar rally marks one year since Russian invasion of Ukraine

Terran Ambrosone
By Terran Ambrosone
March 7th, 2023

February 24, 2023 marked one year from the start of the Russian invasion of Ukraine.

On March 6, roughly 25 people gathered at Castlegar’s Spirit Square to commemorate this solemn occasion.

Hosted by Kootenay For Ukraine, the event was marked by a moment of silence both at the beginning and again at closing. Opening statements gave updates on the current situation in Ukraine, and discussed critical needs. Weapons, medical supplies and a constant battle against propaganda were listed as being most critical at this time. 

Several community members stepped forward to offer ways locals can assist, from fundraisers and volunteering, to media and information sharing. 

Attendee Ross Harvey explained his reasons for joining the rally.

“I’m here because I find the war in Ukraine loathsome. I desperately hope for peace,” Harvey said.

Daryna Bukach, now living in Canada, from Kyiv, Ukraine, described what the invasion has been like.

“Your life is upside down. You had your plans, you had your apartment, you wanted that. You had your life plans. And then suddenly you’re somewhere, nowhere, in the middle, and you don’t know what will come next,” Bukach said. “And right now, you’re just grateful that you’re here, that you’re safe, but you’re still worried for your friends, your families who are there. You don’t know what will come next. And you will not know. Your life is totally wrecked.”

Movie producer Iuliia Stashevska: “My family, my husband, myself and my 17 year old nephew came here several months ago. It was a way for us to find a safer place, environment. We were particularly worried, obviously, about my nephew and his future. He was in Ukraine and that he had to be evacuated. We were happy to find such welcome here and good people to understand what is happening in Ukraine, trying to help, trying to support any way they can.”

Photojournalist Volodymyr Shuvayev came to Canada in June.

“It was a very warm welcome that I didn’t actually expect at first, but it’s a very warm community that really helped me settle, and also helped settle a lot of Ukrainians that I’m encountering here,” Shuvayev said. “And some of them are my friends. Some of them are people that I never knew before. We try to get as much help as possible to the front lines.

“Myself, personally, during the last year, I have collected over $30,000 CDN. to donate to the Ukrainian Army, to the Azov Regiment with help with sending night vision goggles, blood-stopping tourniquets, and various medical equipment. I’ve also participated in sending 10 ambulances to evacuate the wounded from the front lines. We are trying to build a new life, but we also try to help as much as possible. And my word is everyone can help wherever they are.

“Many people think that if they’re not in Ukraine, they cannot help, which is not true,” Shuvayev added. “There is always a way to help with finding a fellow Ukrainian, supporting them emotionally, supporting them financially, helping people settle, collecting money, donating whatever he or she can. And here in British Columbia, we have a nonprofit that actively helps Ukrainians in many places independently. It’s called Maple Hope Foundation. And this is our way to help.”

## Someone pasted data records at this point
/*
(1)
# LiHfAlRh
Computed PXRD pattern, Cu Kα (λ = 1.5418 Å). Input: a PBE-relaxed structure.

The 8 most intense peaks (2θ from 15° to 90°), by angle:
index  2θ/deg  Rel. int.
1 1 1  24.5  817
2 2 0  40.6  1000
3 1 1  48.0  408
4 0 0  58.8  168
3 3 1  64.7  167
4 2 2  73.9  341
5 1 1  79.2  126
4 4 0  87.9  111

Crystal structure
```
data_LiHfAlRh
_chemical_formula_sum 'Li4 Hf4 Al4 Rh4'
_space_group_name_H-M_alt 'F -4 3 m'
_space_group_IT_number 216
_space_group_name_Hall 'F -4 2 3'
_cell_length_a 6.283
_cell_length_b 6.283
_cell_length_c 6.283
_cell_angle_alpha 90.00
_cell_angle_beta 90.00
_cell_angle_gamma 90.00
loop_
_atom_site_label
_atom_site_type_symbol
_atom_site_fract_x
_atom_site_fract_y
_atom_site_fract_z
Li1 Li 0.000 0.000 0.000
Hf1 Hf 0.250 0.250 0.750
Al1 Al 0.250 0.250 0.250
Rh1 Rh 0.000 0.000 0.500
```

(2)
# HfMn8Al3
Computed PXRD pattern, Cu Kα (λ = 1.5418 Å). Input: a PBE-relaxed structure.

The 8 most intense peaks (2θ from 15° to 90°), by angle:
index  2θ/deg  Rel. int.
1 0 0  21.7  339
1 0 1  24.5  600
1 0 2  31.6  359
1 1 0  38.0  324
0 1 3  41.0  843
1 1 2  44.7  1000
2 0 1  45.8  893
0 2 5  76.5  337

Crystal structure
```
data_HfMn8Al3
_chemical_formula_sum 'Hf1 Mn8 Al3'
_space_group_name_H-M_alt 'P 3 m 1'
_space_group_IT_number 156
_space_group_name_Hall 'P 3 -2"'
_cell_length_a 4.7303
_cell_length_b 4.7303
_cell_length_c 7.8423
_cell_angle_alpha 90.00
_cell_angle_beta 90.00
_cell_angle_gamma 120.00
loop_
_atom_site_label
_atom_site_type_symbol
_atom_site_fract_x
_atom_site_fract_y
_atom_site_fract_z
Hf1 Hf 0.0000 0.0000 0.0000
Mn1 Mn 0.1592 0.3184 0.6794
Mn2 Mn 0.3333 0.6667 0.4315
Mn3 Mn 0.3333 0.6667 0.9304
Mn4 Mn 0.5080 0.0160 0.1902
Al1 Al 0.0000 0.0000 0.3731
Al2 Al 0.6667 0.3333 0.4993
Al3 Al 0.6667 0.3333 0.8627
```

(3)
# HfMn5Al7
Computed PXRD pattern, Cu Kα (λ = 1.5418 Å). Input: a PBE-relaxed structure.

The 8 most intense peaks (2θ from 15° to 90°), by angle:
index  2θ/deg  Rel. int.
1 0 1  20.8  210
0 2 2  29.4  520
1 1 2  29.5  346
1 3 0  36.2  170
1 0 3  36.3  196
0 4 0  41.9  260
0 0 4  42.1  1000
2 2 0  42.3  700

Crystal structure
```
data_HfMn5Al7
_chemical_formula_sum 'Hf2 Mn10 Al14'
_space_group_name_H-M_alt 'I m m 2'
_space_group_IT_number 44
_space_group_name_Hall 'I 2 -2'
_cell_length_a 4.916
_cell_length_b 8.629
_cell_length_c 8.583
_cell_angle_alpha 90.00
_cell_angle_beta 90.00
_cell_angle_gamma 90.00
loop_
_atom_site_label
_atom_site_type_symbol
_atom_site_fract_x
_atom_site_fract_y
_atom_site_fract_z
Hf1 Hf 0.000 0.000 0.000
Mn1 Mn 0.000 0.500 0.276
Mn2 Mn 0.241 0.251 0.759
Al1 Al 0.000 0.000 0.344
Al2 Al 0.000 0.000 0.667
Al3 Al 0.000 0.297 0.501
Al4 Al 0.000 0.340 0.016
Al5 Al 0.000 0.500 0.728
```

(4)
# Hf3AlMo8
Computed PXRD pattern, Cu Kα (λ = 1.5418 Å). Input: a PBE-relaxed structure.

The 8 most intense peaks (2θ from 15° to 90°), by angle:
index  2θ/deg  Rel. int.
1 1 0  33.7  386
1 0 10  39.7  1000
0 2 4  41.6  295
3 0 0  60.2  147
2 1 10  64.3  316
2 2 0  70.8  254
*/

Local resident Randy Evanchuck expressed another concern.

“ I’m a fourth generation Ukrainian Canadian from outside of Edmonton, Alberta. I think that the number one concern is propaganda.” 

Larysa Iaroshchuk  originally from Kyiv, Ukraine shared her hopes for the future.

“Ukraine will definitely win. There will be a victory of truth, freedom and democracy over evil. This victory will change the world, changing the mindset of many people and bringing peace. Keeping kindness and love in our hearts is also a big victory for everyone which creates peace in the whole world.”


Categories: General
